ADMC received a Conservation Innovation Grant in 2006 to promote and characterize the unique technology of drainage water management (DWM) – the practice of managing water table depths to reduce nutrient transport from tiles during the fallow season or to reduce water deficit stress during the growing season. Considering that no such guidance currently exists, this innovative multi-state project is developing a set of regional recommendations that are necessary to facilitate and encourage the widespread adoption of DWM. Pilot farms are using the latest ""technologies, including satellite-controlled water control structures, to manage the water table under their fields. Through implementation of the project, significant data is obtained to document nutrient savings from DWM, a necessary step in nutrient trading.

CTIC is working closely with ADMC to provide the outreach component of this project. We will transfer information about the benefits of drainage water management through a variety of mechanisms so that agencies and producers are both more aware of and can make informed decisions about drainage water management. CTIC will be developing, maintaining and capitalizing on relationships with ag media to raise awareness, inform and educate about drainage water management and to highlight progress and successes in the demonstration projects.

Funded By

'''
Entry from Materials Project: a geometry-optimized Hf6CoBi2 structure (PBE).

The formation energy is -250 meV per atom. The calculation puts the theoretical density at 13.23 Mg/m³. For the total DFT energy (no corrections), the calculation gives -76.88 eV/cell. As for the volume: 21.58 Å³/atom.

a = 7.874 Å, b = 7.874 Å, c = 3.617 Å
α = 90.00°, β = 90.00°, γ = 120.00°
Sites, in units of the cell vectors:
Hf 0.000 0.234 0.000
Hf 0.000 0.613 0.500
Hf 0.234 0.000 0.000
Hf 0.387 0.387 0.500
Hf 0.613 0.000 0.500
Hf 0.766 0.766 0.000
Co 0.000 0.000 0.500
Bi 0.333 0.667 0.000
Bi 0.667 0.333 0.000

Entry from Materials Project: a geometry-optimized Ho5Co2Bi structure (PBE).

The formation energy is -353 meV per atom. The calculation puts the theoretical density at 9.55 Mg/m³. For the total DFT energy (no corrections), the calculation gives -87.69 eV/cell. As for the volume: 25.03 Å³/atom.

a = 8.863 Å, b = 8.863 Å, c = 8.863 Å
α = 129.84°, β = 129.84°, γ = 73.67°
Sites, in units of the cell vectors:
Ho 0.000 0.000 0.000
Ho 0.034 0.534 0.822
Ho 0.212 0.034 0.500
Ho 0.288 0.788 0.822
Ho 0.466 0.288 0.500
Ho 0.500 0.500 0.000
Ho 0.534 0.712 0.500
Ho 0.712 0.212 0.178
Ho 0.788 0.966 0.500
Ho 0.966 0.466 0.178
Co 0.134 0.366 0.500
Co 0.366 0.866 0.232
Co 0.634 0.134 0.768
Co 0.866 0.634 0.500
Bi 0.250 0.250 0.000
Bi 0.750 0.750 0.000

Copy entry 2 word for word.
Entry from Materials Project: a geometry-optimized Ho5Co2Bi structure (PBE).

The formation energy is -353 meV per atom. The calculation puts the theoretical density at 9.55 Mg/m³. For the total DFT energy (no corrections), the calculation gives -87.69 eV/cell. As for the volume: 25.03 Å³/atom.

a = 8.863 Å, b = 8.863 Å, c = 8.863 Å
α = 129.84°, β = 129.84°, γ = 73.67°
Sites, in units of the cell vectors:
Ho 0.000 0.000 0.000
Ho 0.034 0.534 0.822
Ho 0.212 0.034 0.500
Ho 0.288 0.788 0.822
Ho 0.466 0.288 0.500
Ho 0.500 0.500 0.000
Ho 0.534 0.712 0.500
Ho 0.712 0.212 0.178
Ho 0.788 0.966 0.500
Ho 0.966 0.466 0.178
Co 0.134 0.366 0.500
Co 0.366 0.866 0.232
Co 0.634 0.134 0.768
Co 0.866 0.634 0.500
Bi 0.250 0.250 0.000
Bi 0.750 0.750 0.000


A plane-wave DFT calculation with PBE+U was carried out for an optimized crystal structure of Na3Mn20O40.

```
data_Na3Mn20O40
_chemical_formula_sum 'Na3 Mn20 O40'
_symmetry_space_group_name_H-M 'P 1'
_symmetry_Int_Tables_number 1
_cell_length_a 5.967
_cell_length_b 10.331
_cell_length_c 13.310
_cell_angle_alpha 75.11
_cell_angle_beta 77.08
_cell_angle_gamma 73.22
loop_
_symmetry_equiv_pos_as_xyz
'x,y,z'
loop_
_atom_site_label
_atom_site_fract_x
_atom_site_fract_y
_atom_site_fract_z
Na1 0.000 0.000 0.000
Na2 0.197 0.401 0.198
Na3 0.797 0.850 0.550
Mn1 0.097 0.329 0.969
Mn2 0.098 0.326 0.477
Mn3 0.195 0.031 0.575
Mn4 0.202 0.522 0.574
Mn5 0.297 0.723 0.677
Mn6 0.301 0.726 0.176
Mn7 0.397 0.426 0.773
Mn8 0.399 0.926 0.774
Mn9 0.497 0.127 0.374
Mn10 0.499 0.129 0.871
Mn11 0.596 0.330 0.970
Mn12 0.601 0.822 0.973
Mn13 0.697 0.522 0.575
Mn14 0.697 0.529 0.070
'''

Project Period

December 2007 - May 2010

Project Partner


Project Participants

ADMC received a Conservation Innovation Grant in 2006 to promote and characterize the unique technology of drainage water management (DWM)- the practice of managing water table depths to reduce nutrient transport from tiles during the fallow season or to reduce water deficit stress during the growing season. Considering that no such guidance currently exists, this innovative multi-state project is developing a set of regional recommendations that are necessary to facilitate and encourage the widespread adoption of DWM. Pilot farms are using the latest technologies, including satellite-controlled water control structures, to manage the water table under the fields. Through implementation of the project, significant data is obtained to document nutrient avings from DWM, a necessary step in nutrient trading.


CTIC issued exclusive feature stories about the project, DWM and ADMC to increase coverage of and awareness of this important management tool.

For More Information

Visit the ADMC web site at www.admcoalition.org or contact Karen Scanlon, CTIC executive director, at Tel: 765-494-2238 or Email: scanlon@ctic.org.

Get Involved

Learn more about drainage water management at www.admcoalition.org.